Introducing your strength-training clients to negative lifting, aka, employing negatives, might be a progressive overload approach worth considering, especially if you’re helping them to push through a slump or speed up results.

Creative Approaches to Progressive Overloading

Last month I discussed the importance of trainers holding some creative progressive overload techniques in their back pockets when clients hit strength gain plateaus. Specifically, I discussed tempo or Time Under Tension (TUT) as one such approach. 

While plateaus may be inevitable, clients may feel discouraged and/or unmotivated to reach their goals. This is where you as the trainer need to reach into your creative pocket and pull out an approach to keep them coming back. Negative lifting may be the bang for the buck they’re looking for. 

What is Negative Lifting?

Negatives are a slow 3-5 second tempo, heavy eccentric (lengthening phase) movement that is best performed with a partner, spotter, or trainer. Negatives capitalize on the eccentric motion of an exercise by exploiting the nature of opposing forces: when the opposing force is greater than the muscles’ force production, the muscle must fight to control that weight as it lengthens, and hence, the eccentric phase is enhanced. Eccentric phases are able to produce greater force output than concentric phases and therefore, can move more weight.

When is Negative Lifting Appropriate?

First, negatives are appropriate with eccentric exercises. Examples include: the lowering phase of a shoulder press or lying bench press, or even the downward motion of a squat (a trickier movement to execute as a negative—it would most likely require two spotters). 

Second, negatives are more effectively employed once 1 rep max (1RM) testing has been completed, because:

  • When 1RM is acutely increased on the eccentric phase of the lift, it creates a 5-15lb concentric phase strength increase! This relationship is a result of enhanced neural stimulation, greater muscle spindle stretch, and increased motor nerve, which is ideal for plateau breakthroughs. 
  • Negative lifting requires applying a percentage of supera-maximal 1RM. To be exact 105%-125% of 1RM

In other words, in order to accurately and safely calculate the heavier weight required for a negative set, you need to know the maximal weight you can handle for the entire movement: the 1RM for that exercise.

Third, negatives are appropriate for those who are working out with someone who can help return the weight to the starting position.

How to Program Negative Lifting?

Adding negatives into your clients’ training periodization starts with considering their training volume. 3-4 times per week is a realistic number to shoot for.

Negatives should be incorporated towards the end of a session, once all of the main work is complete. Think of accessory work.

When employing a negative approach, a 3-5 second tempo should be used for 2-3 sets of 3-4 reps. 

NegativesExample: Bench press

Select the appropriate weight: If your client’s 1RM is 150 pounds for a bench press, start with 160.

┌──
Theoretical powder diffractogram
Compound: Th4PaGe5
Radiation: Cu Kα, 1.54184 Å
Structure: a crystal structure in Alexandria, relaxed with PBE
Intensities are scaled so that the largest is 100.

Crystal structure
```
data_Th4PaGe5
_symmetry_space_group_name_H-M 'I 4/m'
_symmetry_Int_Tables_number 87
_symmetry_space_group_name_Hall '-I 4'
_cell_length_a 9.552
_cell_length_b 9.552
_cell_length_c 6.042
_cell_angle_alpha 90.00
_cell_angle_beta 90.00
_cell_angle_gamma 90.00
loop_
_atom_site_label
_atom_site_type_symbol
_atom_site_fract_x
_atom_site_fract_y
_atom_site_fract_z
Th1 Th 0.098 0.301 0.000
Pa1 Pa 0.000 0.000 0.500
Ge1 Ge 0.000 0.000 0.000
Ge2 Ge 0.097 0.291 0.500
```

The 10 most intense peaks (15° ≤ 2θ ≤ 90°), by angle:
(2 1 1), d 3.488, I = 46.4; (0 0 2), d 3.021, I = 100.0; (1 3 2), d 2.136, I = 76.6; (5 0 1), d 1.822, I = 24.3; (4 2 2), d 1.744, I = 27.4; (0 0 4), d 1.510, I = 12.9; (6 3 1), d 1.386, I = 10.4; (1 3 4), d 1.351, I = 35.5; (4 2 4), d 1.233, I = 26.5; (4 7 1), d 1.163, I = 8.3

=====

No. 1
Structure and calculated powder X-ray diffraction pattern of Cu3Mo2H2O10 (a DFT-relaxed cell (PBE+U, the Materials Project); λ = 1.5418 Å (Cu Kα)).

The 8 most intense peaks (2θ from 10° to 90°), low angle first:
| 2θ (°) | Rel. int. | (hkl) |
| --- | --- | --- |
| 21.39 | 75.7 | 1 -1 0 |
| 24.44 | 50.3 | 1 1 -1 |
| 25.46 | 76.1 | 0 0 2 |
| 25.81 | 100.0 | 1 0 -2 |
| 26.48 | 79.0 | 1 1 0 |
| 31.92 | 69.1 | 0 2 -1 |
| 34.21 | 43.1 | 0 1 2 |
| 34.32 | 45.2 | 1 -1 2 |

Structure:
```
data_Cu3Mo2H2O10
_chemical_formula_sum 'Cu3 Mo2 H2 O10'
_space_group_name_H-M_alt 'P -1'
_space_group_IT_number 2
_space_group_name_Hall '-P 1'
_cell_length_a 5.403
_cell_length_b 5.686
_cell_length_c 7.611
_cell_angle_alpha 103.43
_cell_angle_beta 106.50
_cell_angle_gamma 97.33
loop_
_atom_site_label
_atom_site_type_symbol
_atom_site_fract_x
_atom_site_fract_y
_atom_site_fract_z
Cu1 Cu 0.000 0.000 0.000
Cu2 Cu 0.229 0.586 0.193
Mo1 Mo 0.314 0.779 0.692
H1 H 0.229 0.327 0.868
O1 O 0.021 0.797 0.763
O2 O 0.107 0.321 0.942
O3 O 0.231 0.766 0.445
O4 O 0.428 0.502 0.731
O5 O 0.437 0.954 0.167
```


No. 2
Structure and calculated powder X-ray diffraction pattern of Li2CoP2O8 (a DFT-relaxed cell (PBE+U, the Materials Project); λ = 1.5418 Å (Cu Kα)).

The 8 most intense peaks (2θ from 10° to 90°), low angle first:
| 2θ (°) | Rel. int. | (hkl) |
| --- | --- | --- |
| 13.81 | 41.1 | 1 0 -1 |
| 15.88 | 77.7 | 1 -1 1 |
| 21.56 | 75.5 | 1 -1 2 |
| 21.76 | 100.0 | 0 2 0 |
| 23.68 | 38.3 | 2 0 1 |
| 32.08 | 48.8 | 2 -2 2 |
| 33.85 | 41.4 | 0 0 4 |
| 34.80 | 42.2 | 2 2 0 |

Structure:
```
data_Li2CoP2O8
_chemical_formula_sum 'Li8 Co4 P8 O32'
_space_group_name_H-M_alt 'P 1'
_space_group_IT_number 1
_space_group_name_Hall 'P 1'
_cell_length_a 8.293
_cell_length_b 8.408
_cell_length_c 10.588
_cell_angle_alpha 90.15
_cell_angle_beta 90.24
_cell_angle_gamma 103.73
loop_
_atom_site_label
_atom_site_type_symbol
_atom_site_fract_x
_atom_site_fract_y
_atom_site_fract_z
└──

Help him or her unrack the weight and spot the bar as it is lowered towards the chest.

You will now assist on the concentric phase as much as possible as your client returns the bar to start.

Remember to let go of the bar on the way back down but continue to spot!

Why Incorporate Negative Lifting?

Negatives are dubbed a powerful technique eliciting a rapid strength growth/response because:

  1. Muscles are stronger in the eccentric phase 
  2. They progressively overload the muscle in a different way
  3. Eccentric training can acutely increase resting metabolism 

What are some other ideal exercises that you can incorporate negatives?



Theresa Perales

Theresa Perales has an MA in Spanish, and is an ESL teacher at San Diego State University (SDSU). After years of struggling with her weight, she decided to give exercise a try. A passion for health and fitness grew instantly and inspired her to become certified as a personal trainer with NFPT, and as a group fitness instructor with AFAA Group Fitness and Madd Dog Athletics® Spinning. Theresa believes that nutrition and fitness are not about aesthetics but ultimately about feeling healthy and empowered.